**Request**
It remains to find the line further below that holds "109.51 90.00", then quote that line and all lines after it there.

**Entries**
+++
(1)
This entry pairs a crystal structure of LiAlO2 with its computed PXRD pattern. Radiation: Cu Kα, 1.54184 Å. Structure: a structure optimized by DFT (PBE).
Intensities are scaled so that the largest is 100.

Atomic structure:
abc: 5.2301 5.2301 6.3267
angles: 90.00 90.00 90.00
Space group P4_12_12 (No. 92)
Asymmetric unit:
Li: 0.1861 0.1861 0.0000 (multiplicity 4)
Al: 0.1767 0.1767 0.5000 (multiplicity 4)
O: 0.1619 0.7909 0.9774 (multiplicity 8)

Largest 6 diffraction maxima, by intensity, 5° ≤ 2θ ≤ 70°:
- 2θ 22.05, I = 100.0
- 2θ 34.29, I = 78.3
- 2θ 33.10, I = 69.8
- 2θ 60.65, I = 46.2
- 2θ 27.94, I = 23.3
- 2θ 48.40, I = 18.7

***

(2)
This entry pairs a crystal structure of NpSc5As6 with its computed PXRD pattern. Radiation: Cu Kα, 1.54184 Å. Structure: a structure optimized by DFT (PBE).
Intensities are scaled so that the largest is 100.

Atomic structure:
abc: 6.7853 11.7591 6.7870
angles: 90.00 109.51 90.00
Space group C2/m (No. 12)
Asymmetric unit:
Np: 0.0000 0.0000 0.0000 (multiplicity 2)
Sc: 0.0000 0.1651 0.5000 (multiplicity 4)
Sc: 0.0000 0.3330 0.0000 (multiplicity 4)
Sc: 0.0000 0.5000 0.5000 (multiplicity 2)
As: 0.2455 0.3305 0.7450 (multiplicity 8)
As: 0.2448 0.5000 0.2521 (multiplicity 4)

Largest 6 diffraction maxima, by intensity, 5° ≤ 2θ ≤ 70°:
- 2θ 32.31, I = 100.0
- 2θ 46.34, I = 71.5
- 2θ 57.62, I = 24.5
- 2θ 15.77, I = 12.9
- 2θ 67.63, I = 11.2
- 2θ 17.69, I = 10.5

***

(3)
This entry pairs a crystal structure of PuZr5Tc4 with its computed PXRD pattern. Radiation: Cu Kα, 1.54184 Å. Structure: a structure optimized by DFT (PBE).
Intensities are scaled so that the largest is 100.

Atomic structure:
abc: 3.2969 3.2969 17.7323
angles: 90.00 90.00 90.00
Space group P4/mmm (No. 123)
Asymmetric unit:
Pu: 0.0000 0.0000 0.0000 (multiplicity 1)
Zr: 0.5000 0.5000 0.1318 (multiplicity 2)
Zr: 0.5000 0.5000 0.3146 (multiplicity 2)
Zr: 0.5000 0.5000 0.5000 (multiplicity 1)
Tc: 0.0000 0.0000 0.2183 (multiplicity 2)
Tc: 0.0000 0.0000 0.4070 (multiplicity 2)

Largest 6 diffraction maxima, by intensity, 5° ≤ 2θ ≤ 70°:
- 2θ 37.24, I = 100.0
- 2θ 38.62, I = 59.4
- 2θ 68.98, I = 31.9
- 2θ 55.76, I = 20.1
- 2θ 33.88, I = 15.7
- 2θ 31.06, I = 8.7
+++

**Outcome**
angles: 90.00 109.51 90.00
Space group C2/m (No. 12)
Asymmetric unit:
Np: 0.0000 0.0000 0.0000 (multiplicity 2)
Sc: 0.0000 0.1651 0.5000 (multiplicity 4)
Sc: 0.0000 0.3330 0.0000 (multiplicity 4)
Sc: 0.0000 0.5000 0.5000 (multiplicity 2)
As: 0.2455 0.3305 0.7450 (multiplicity 8)
As: 0.2448 0.5000 0.2521 (multiplicity 4)

Largest 6 diffraction maxima, by intensity, 5° ≤ 2θ ≤ 70°:
- 2θ 32.31, I = 100.0
- 2θ 46.34, I = 71.5
- 2θ 57.62, I = 24.5
- 2θ 15.77, I = 12.9
- 2θ 67.63, I = 11.2
- 2θ 17.69, I = 10.5

***

(3)
This entry pairs a crystal structure of PuZr5Tc4 with its computed PXRD pattern. Radiation: Cu Kα, 1.54184 Å. Structure: a structure optimized by DFT (PBE).
Intensities are scaled so that the largest is 100.

Atomic structure:
abc: 3.2969 3.2969 17.7323
angles: 90.00 90.00 90.00
Space group P4/mmm (No. 123)
Asymmetric unit:
Pu: 0.0000 0.0000 0.0000 (multiplicity 1)
Zr: 0.5000 0.5000 0.1318 (multiplicity 2)
Zr: 0.5000 0.5000 0.3146 (multiplicity 2)
Zr: 0.5000 0.5000 0.5000 (multiplicity 1)
Tc: 0.0000 0.0000 0.2183 (multiplicity 2)
Tc: 0.0000 0.0000 0.4070 (multiplicity 2)

Largest 6 diffraction maxima, by intensity, 5° ≤ 2θ ≤ 70°:
- 2θ 37.24, I = 100.0
- 2θ 38.62, I = 59.4
- 2θ 68.98, I = 31.9
- 2θ 55.76, I = 20.1
- 2θ 33.88, I = 15.7
- 2θ 31.06, I = 8.7